********
The following is a DFT calculation (the ωB97M-V functional and the def2-TZVPD basis) of the ion C4H12N3 with charge +1 at a distorted geometry.

Summary:
Max |F|: 0.082 hartree/bohr
Spin multiplicity: 1
Total energy: -323.554976 hartree
Charge: +1
Structure (SMILES): C[C@@]1(N)C[C@@]1(N)[NH3+]

Element x y z (Å)
1 N -1.595 1.277 0.515
2 N -1.664 -1.171 0.321
3 N 1.294 1.558 0.186
4 C 0.734 0.260 -0.089
5 C 1.391 -0.961 0.371
6 C -0.812 0.316 -0.118
7 C -0.078 0.366 -1.444
8 H 1.843 1.626 1.024
9 H 1.402 -1.819 -0.367
10 H -1.318 1.524 1.438
11 H 1.933 1.923 -0.493
12 H -0.157 1.206 -2.063
13 H 0.948 -1.471 1.158
14 H 2.350 -0.660 0.637
15 H -0.146 -0.464 -2.048
16 H -0.910 -1.828 0.341
17 H -2.201 -1.225 -0.510
18 H -2.014 2.042 0.063
********
Your job: give back only the last part of the material earlier on, starting with the line that has "Max |F|:".
Max |F|: 0.082 hartree/bohr
Spin multiplicity: 1
Total energy: -323.554976 hartree
Charge: +1
Structure (SMILES): C[C@@]1(N)C[C@@]1(N)[NH3+]

Element x y z (Å)
1 N -1.595 1.277 0.515
2 N -1.664 -1.171 0.321
3 N 1.294 1.558 0.186
4 C 0.734 0.260 -0.089
5 C 1.391 -0.961 0.371
6 C -0.812 0.316 -0.118
7 C -0.078 0.366 -1.444
8 H 1.843 1.626 1.024
9 H 1.402 -1.819 -0.367
10 H -1.318 1.524 1.438
11 H 1.933 1.923 -0.493
12 H -0.157 1.206 -2.063
13 H 0.948 -1.471 1.158
14 H 2.350 -0.660 0.637
15 H -0.146 -0.464 -2.048
16 H -0.910 -1.828 0.341
17 H -2.201 -1.225 -0.510
18 H -2.014 2.042 0.063